Hi mate hope you're doing well and now this is something I have experienced great variation with recently by using a different cap not all caps are equal in their performance.With the DV, how many draws per heat cycle would you do?
Is it kind of like instead of going for one big massive draw, you take it in multiples till the cool down click?
Also, when you say that you get higher from lower temps, is it a more energetic high or do you still get the full spectrum of effects?
I have been using for several years what I have now discovered to be a fairly low temp cap where I need to be quite aggressive with the torch and I'm never afraid of going half a second faster click in order to get bigger hits and to finish a load in 3 hits is practically unthinkable unless I'm really sticking it right down into the heaviest flame at the bottom of the cap.
CsK2GaF6: theoretical X-ray powder pattern (Cu Ka), based on the GGA-PBE geometry in the Materials Project.

Principal peaks in the range 5 to 70 degrees two-theta, by intensity:
d [Å], I_rel, hkl
3.319, 100, 2 2 0
4.694, 49, 2 0 0
2.347, 41, 4 0 0
1.916, 34, 4 2 2
1.660, 23, 4 4 0
1.484, 22, 6 2 0
2.099, 18, 4 2 0
2.154, 9, 3 3 1

Structure:
```
data_CsK2GaF6
_cell_length_a 9.3881
_cell_length_b 9.3881
_cell_length_c 9.3881
_cell_angle_alpha 90.00
_cell_angle_beta 90.00
_cell_angle_gamma 90.00
_symmetry_space_group_name_H-M 'F m -3 m'
_symmetry_Int_Tables_number 225
_symmetry_space_group_name_Hall '-F 4 2 3'
loop_
_atom_site_label
_atom_site_type_symbol
_atom_site_fract_x
_atom_site_fract_y
_atom_site_fract_z
Cs1 Cs 0.0000 0.0000 0.0000
K1 K 0.2500 0.2500 0.2500
Ga1 Ga 0.0000 0.0000 0.5000
F1 F 0.0000 0.0000 0.2947
```


No. 1
Structure and simulated XRD peak list of NaFeCSO7 (a DFT-relaxed cell (PBE+U, the Materials Project); Cu Kα, 1.54184 Å).

Lattice parameters (Å, degrees): 5.304 6.592 9.126 90.00 91.90 90.00
Space group P2_1 (No. 4)
Inequivalent atoms, fractional coordinates:
Na 0.234 0.000 0.284 x2
Fe 0.221 0.220 0.841 x2
C 0.275 0.250 0.578 x2
S 0.274 0.733 0.932 x2
O 0.052 0.247 0.641 x2
O 0.138 0.747 0.073 x2
O 0.194 0.552 0.847 x2
O 0.218 0.913 0.840 x2
O 0.308 0.243 0.445 x2
O 0.447 0.222 0.032 x2
O 0.462 0.254 0.681 x2

Main lines, in order of rising 2θ (2θ = 5–70°):
- (0 0 1), 9.70 deg, d 9.121, intensity 100
- (0 1 1), 16.59 deg, d 5.343, intensity 49
- (1 0 -1), 19.08 deg, d 4.651, intensity 22
- (1 0 1), 19.65 deg, d 4.519, intensity 25
- (1 1 0), 21.51 deg, d 4.131, intensity 19
- (1 1 1), 23.87 deg, d 3.727, intensity 22
- (1 0 -2), 25.34 deg, d 3.515, intensity 35
- (1 0 2), 26.20 deg, d 3.402, intensity 14
- (0 2 0), 27.05 deg, d 3.296, intensity 43
- (1 0 -3), 33.52 deg, d 2.674, intensity 15
- (2 0 0), 33.82 deg, d 2.650, intensity 17
- (1 1 3), 37.17 deg, d 2.419, intensity 14



No. 2
Structure and simulated XRD peak list of Ta2CrNO5 (a DFT-relaxed cell (PBE+U, the Materials Project); Cu Kα, 1.54184 Å).

Lattice parameters (Å, degrees): 4.762 4.763 9.249 89.83 89.92 89.70
Space group P1 (No. 1)
Inequivalent atoms, fractional coordinates:
Ta 0.000 0.000 0.000 x1
Ta 0.009 0.013 0.325 x1
Ta 0.501 0.516 0.501 x1
Ta 0.512 0.526 0.843 x1
Cr 0.499 0.526 0.164 x1
Cr 0.997 0.028 0.663 x1
N 0.196 0.830 0.166 x1
N 0.695 0.724 0.995 x1
O 0.194 0.830 0.496 x1
O 0.197 0.832 0.829 x1
O 0.299 0.331 0.659 x1
O 0.300 0.329 0.338 x1
O 0.300 0.331 0.993 x1
O 0.690 0.720 0.662 x1
O 0.695 0.723 0.337 x1
O 0.798 0.225 0.498 x1
O 0.804 0.226 0.829 x1
O 0.809 0.221 0.166 x1

Main lines, in order of rising 2θ (2θ = 5–70°):
- (0 0 2), 19.19 deg, d 4.625, intensity 12
- (0 1 -1), 20.98 deg, d 4.233, intensity 38
- (1 1 0), 26.40 deg, d 3.376, intensity 64
- (1 -1 0), 26.54 deg, d 3.359, intensity 63
- (1 0 3), 34.66 deg, d 2.588, intensity 100
- (2 0 0), 37.78 deg, d 2.381, intensity 31
- (2 1 3), 52.05 deg, d 1.757, intensity 20
I get 5 to 8 hits per full load, when Im not trying to stretch it out. Just finish it fairly swiftly but I generally go for the biggest hits which are smooth and not too roasted I don't want the load to stay green forever but I also don't want it to be dark brown after the second hit nowhere close.
But with this other caps I have used it takes about 3 times as long for the cool down click to come and it can come bus to more easily and also gives much bigger hits with the same heating technique. The extraction of the load is much faster with this one but the Vapour is harsher and I have to concentrate more to not combust will get really big dance hits which are too much for my chest.
**Unrelated to this article: crystal structures:**
........
Starting from the PBE+U geometry in the Materials Project, the powder diffractogram of VH3C4O6 was calculated for Cu Kα, 1.54184 Å.
Intensities are scaled so that the largest is 100.

Structure:
Cell: 8.5384 8.5036 9.8153 Å, 90.00 104.80 90.00°
Fractional coordinates of all 56 atoms:
V  0.1407  0.0570  0.1248
V  0.1407  0.4430  0.6248
V  0.8593  0.5570  0.3752
V  0.8593  0.9430  0.8752
H  0.1158  0.1108  0.8507
H  0.1158  0.3892  0.3507
H  0.3879  0.2325  0.6291
H  0.3879  0.2675  0.1291
H  0.4621  0.1008  0.1956
H  0.4621  0.3992  0.6956
H  0.5379  0.6008  0.3044
H  0.5379  0.8992  0.8044
H  0.6121  0.7325  0.8709
H  0.6121  0.7675  0.3709
H  0.8842  0.6108  0.6493
H  0.8842  0.8892  0.1493
C  0.0957  0.6777  0.9415
C  0.0957  0.8223  0.4415
C  0.1895  0.5377  0.9307
C  0.1895  0.9623  0.4307
C  0.2166  0.7221  0.0715
C  0.2166  0.7779  0.5715
C  0.2974  0.5675  0.0715
C  0.2974  0.9325  0.5715
C  0.7026  0.0675  0.4285
C  0.7026  0.4325  0.9285
C  0.7834  0.2221  0.4285
C  0.7834  0.2779  0.9285
C  0.8105  0.0377  0.5693
C  0.8105  0.4623  0.0693
C  0.9043  0.1777  0.5585
C  0.9043  0.3223  0.0585
O  0.0401  0.2266  0.6334
O  0.0401  0.2734  0.1334
O  0.0849  0.0370  0.9154
O  0.0849  0.4630  0.4154
O  0.1851  0.0683  0.3389
O  0.1851  0.4317  0.8389
O  0.2508  0.6601  0.6524
O  0.2508  0.8399  0.1524
O  0.3688  0.1522  0.1281
O  0.3688  0.3478  0.6281
O  0.4056  0.0075  0.6559
O  0.4056  0.4925  0.1559
O  0.5944  0.5075  0.8441
O  0.5944  0.9925  0.3441
O  0.6312  0.6522  0.3719
O  0.6312  0.8478  0.8719
O  0.7492  0.1601  0.8476
O  0.7492  0.3399  0.3476
O  0.8149  0.5683  0.1611
O  0.8149  0.9317  0.6611
O  0.9151  0.5370  0.5846
O  0.9151  0.9630  0.0846
O  0.9599  0.7266  0.8666
O  0.9599  0.7734  0.3666

Main lines, sorted by position (2θ from 10° to 90°):
Position (°2θ)	Rel. int.	(hkl)
10.72	97	1 0 0
16.12	100	1 1 -1
19.05	60	1 0 -2
20.89	17	0 2 0
21.49	13	2 0 0
23.64	31	2 1 -1
26.87	17	2 1 -2
37.92	22	0 0 4

***

Starting from the PBE+U geometry in the Materials Project, the powder diffractogram of Mn2HgC10O10 was calculated for Cu Kα, 1.54184 Å.
Intensities are scaled so that the largest is 100.

Structure:
Cell: 6.3815 6.3826 9.5883 Å, 82.75 89.31 81.59°
Fractional coordinates of all 23 atoms:
Mn  0.1333  0.1849  0.2582
Mn  0.8667  0.8151  0.7418
Hg  0.0000  0.0000  0.5000
C  0.0267  0.5712  0.6885
C  0.1090  0.8879  0.8181
C  0.2256  0.3142  0.0934
C  0.2725  0.9116  0.2415
C  0.3583  0.2323  0.3656
C  0.6417  0.7677  0.6344
C  0.7275  0.0884  0.7585
C  0.7744  0.6858  0.9066
C  0.8910  0.1121  0.1819
C  0.9733  0.4288  0.3115
O  0.1232  0.4153  0.6574
O  0.2586  0.9312  0.8686
O  0.2809  0.3994  0.9876
O  0.3591  0.7421  0.2286
O  0.4988  0.7376  0.5700
O  0.5012  0.2624  0.4300
O  0.6409  0.2579  0.7714
O  0.7191  0.6006  0.0124
O  0.7414  0.0688  0.1314
O  0.8768  0.5847  0.3426

Main lines, sorted by position (2θ from 10° to 90°):
Position (°2θ)	Rel. int.	(hkl)
14.03	99	1 0 0
14.14	69	0 1 0
15.93	100	0 1 1
16.91	75	1 0 1
........
Show the variation in the caps can make quite a few differences with regard to the Vapour quality and and amount and density and more that I can't think to express at this moment.
These calculated crystals were left in the entry by mistake:
-- begin --
# 1
Diffraction record for AcHoTm4. The PXRD pattern is simulated, not measured: it uses a DFT-relaxed cell (GGA-PBE, Alexandria) and Cu Kα, 1.54184 Å.
Peak positions follow from Bragg's law for the DFT cell and can differ from measured ones.

Largest 10 diffraction maxima, in order of falling intensity, 2θ from 10° to 80°:
| Position (°2θ) | d [Å] | I (rel.) |
| --- | --- | --- |
| 31.69 | 2.823 | 100 |
| 31.28 | 2.859 | 97 |
| 45.13 | 2.009 | 35 |
| 62.08 | 1.495 | 30 |
| 56.16 | 1.638 | 24 |
| 56.40 | 1.631 | 13 |
| 56.26 | 1.635 | 13 |
| 51.88 | 1.762 | 9 |
| 66.27 | 1.410 | 8 |
| 40.96 | 2.204 | 7 |

Structural model:
```
6
Lattice="3.5250 0.0000 0.0000 0.0000 5.6560 0.0000 0.0000 0.0000 9.7631" Properties=species:S:1:pos:R:3 pbc="T T T"
Ac 0.0000 0.0000 0.0000
Ho 0.0000 2.8280 4.8816
Tm 1.7625 0.0000 3.3154
Tm 1.7625 0.0000 6.4477
Tm 1.7625 2.8280 1.7082
Tm 1.7625 2.8280 8.0549
```

# 2
Diffraction record for Na2AgBS4. The PXRD pattern is simulated, not measured: it uses a DFT-relaxed cell (GGA-PBE, Alexandria) and Cu Kα, 1.54184 Å.
Peak positions follow from Bragg's law for the DFT cell and can differ from measured ones.

Largest 10 diffraction maxima, in order of falling intensity, 2θ from 10° to 80°:
| Position (°2θ) | d [Å] | I (rel.) |
| --- | --- | --- |
| 32.00 | 2.797 | 100 |
| 18.09 | 4.904 | 68 |
| 38.05 | 2.365 | 56 |
| 18.76 | 4.730 | 42 |
| 25.69 | 3.468 | 31 |
| 43.98 | 2.059 | 27 |
| 36.65 | 2.452 | 27 |
| 41.48 | 2.177 | 26 |
| 46.48 | 1.954 | 24 |
| 60.59 | 1.528 | 18 |

Structural model:
```
16
Lattice="6.9358 0.0000 0.0000 0.0000 6.9358 0.0000 0.0000 0.0000 6.4673" Properties=species:S:1:pos:R:3 pbc="T T T"
Na 0.0000 3.4679 0.0000
Na 0.0000 3.4679 3.2337
Na 3.4679 0.0000 0.0000
Na 3.4679 0.0000 3.2337
Ag 0.0000 0.0000 0.0000
Ag 3.4679 3.4679 3.2337
B 0.0000 0.0000 3.2337
B 3.4679 3.4679 0.0000
S 1.0596 1.0596 2.0264
S 1.0596 5.8762 4.4409
S 2.4083 2.4083 5.2600
S 2.4083 4.5275 1.2073
S 4.5275 2.4083 1.2073
S 4.5275 4.5275 5.2600
S 5.8762 1.0596 4.4409
S 5.8762 5.8762 2.0264
```

# 3
Diffraction record for Tm8Th2Tl. The PXRD pattern is simulated, not measured: it uses a DFT-relaxed cell (GGA-PBE, Alexandria) and Cu Kα, 1.54184 Å.
Peak positions follow from Bragg's law for the DFT cell and can differ from measured ones.

Largest 10 diffraction maxima, in order of falling intensity, 2θ from 10° to 80°:
| Position (°2θ) | d [Å] | I (rel.) |
| --- | --- | --- |
| 31.45 | 2.845 | 100 |
| 31.52 | 2.838 | 99 |
| 36.56 | 2.458 | 67 |
| 52.55 | 1.741 | 36 |
| 36.43 | 2.466 | 34 |
| 62.49 | 1.486 | 29 |
| 62.59 | 1.484 | 28 |
| 62.72 | 1.481 | 28 |
| 52.58 | 1.741 | 24 |
| 65.64 | 1.422 | 12 |

Structural model:
```
11
Lattice="8.8755 -2.4663 0.0000 8.8755 2.4663 0.0000 -2.0649 0.0000 7.4881" Properties=species:S:1:pos:R:3 pbc="T T T"
Tm 0.3243 0.0000 1.6915
Tm 1.0412 0.0000 5.0997
Tm 4.4397 0.0000 4.4500
Tm 7.1430 0.0000 0.3869
Tm 8.5432 0.0000 7.1012
Tm 11.2465 0.0000 3.0381
Tm 14.6450 0.0000 2.3884
Tm 15.3620 0.0000 5.7966
-- stop --
Took a load of acid just recentlbut amazingly well feelomg after 900ug over 24 hours wednesday to last night. I mean, I feel hammered from it now still but that will be completely worn off in a few days and I'll be feeling right as rain again.

I have an appointment to see my amazing homeopath on Tuesday for a full diagnosis of so many things going on right now and truly genuinely effective prescribed vibrational homoeopathic remedies for each specific situation and problem including my stomach helicobacter pylori infection and severe gastritis which I'm unable to treat because Of My Extreme intolerance to medicines, and even more so the millions of natural remedies and herbs and antimicrobials which I could otherwise resort to myself in order to clear the infection, heal the guts and and eliminate the information.
But believe it or not and Mark my words people this lady will be able to give me homoeopathic medicine which will do all of this and more without me needing the damaging and toxic prescription medicines which I cannot tolerate for one day regardless.
So I will be able to make some substantial progress all around but also the home you have will diagnose and treat my anxiety and depression which actually has massive physical basis and evidence when it comes to Reading the body to do with the nervous system and emotions are kind of physical much more than we realise.
So I will be on a break from my acid tripping and have enjoyed some heavy indulgence of late. Perfect timing for a 4-week course of homoeopathy and cleaning up my all round act in the process.
I will come out the other side of the medicine in a a radically improved all round state.